• What to do:
Could you start at the top of the entries underneath and restate each line, ending with the one that has "0.0883"?

• Entries:
(1)
Molecular formula: C7H13N5
Method: DFT, ωB97M-V/def2-TZVPD

Computed properties:
Total charge ... 0
E_HOMO ... -0.3140 hartree
Molar mass ... 167.22 g/mol
Energy above the lowest of the compared OMol25 structures with the same formula, charge and spin ... 169.80 kJ/mol
Structure (SMILES) ... C1=C[C@@H]2N[C@@H]2C1.[H]/N=C(N)/C=N/N
E ... -14916.149 eV

Each line ends with the Löwdin charge.
Element x y z (Å)
C 2.0090 -1.0685 0.6338  -0.091
C 1.7407 0.2421 0.9381  -0.039
C 2.9602 1.0847 0.7420  -0.256
N 3.4193 1.3604 -0.6521  0.070
C 3.9330 0.2024 0.0883  -0.307
C 3.2350 -1.0724 -0.1830  -0.184
H 1.3820 -1.9308 0.7766  0.095
H 0.7674 0.7002 1.1636  0.103
H 3.2269 1.8788 1.4750  0.144
H 4.1703 2.0447 -0.6559  0.086
H 4.9778 0.1221 0.3095  0.135
H 2.9224 -1.1033 -1.2446  0.132
H 3.9216 -1.8956 0.0082  0.108
H -5.0422 -0.1471 1.8657  0.033
N -4.1422 -0.2850 1.4200  0.115
C -4.0948 0.1949 0.2423  -0.514
N -5.0976 0.9394 -0.3523  0.085
C -2.8307 0.0190 -0.5811  -0.137
N -1.7996 -0.5998 -0.1198  -0.016
N -0.7237 -0.7070 -0.9558  0.009
H -5.2860 0.6857 -1.3267  0.093
H -5.9654 0.7833 0.1437  0.084
H -2.7216 0.8798 -1.2428  0.107
H -0.0238 -1.3482 -0.5774  0.049
H -0.9380 -0.9798 -1.9156  0.096

=====

(2)
Molecular formula: C7H13N5
Method: DFT, ωB97M-V/def2-TZVPD

Computed properties:
Total charge ... +2
E_HOMO (alpha / beta) ... -0.6484 / -0.5855 hartree
Molar mass ... 167.22 g/mol
Energy above the lowest of the compared OMol25 structures with the same formula, charge and spin ... 343.50 kJ/mol
Structure (SMILES) ... C[C@@H]1NN(C)[C@H]2C(=[NH2+])[NH+]=CN=C21
E ... -14899.572 eV

Each line ends with the Löwdin charge.
Element x y z (Å)
C 2.0789 -2.1392 -0.0029  0.027
C 1.1111 -1.0792 -0.7106  -0.237
N 1.6062 0.2554 -0.5476  0.149
N 0.7545 1.0704 0.1388  -0.089
C 1.4252 2.1957 0.7456  0.040
C -0.4033 0.3866 0.5468  -0.111
C -1.7986 0.7673 -0.0557  -0.178
N -2.1261 1.6753 -0.9431  0.285
N -2.5974 -0.2811 0.1819  0.135
C -2.2705 -1.6168 0.4665  -0.046
N -1.0888 -1.9492 0.1069  0.171
C -0.2163 -0.9864 -0.0540  -0.149
H 2.4882 -1.9051 0.9808  0.090
H 2.9543 -1.9604 -0.7095  0.108
H 1.6660 -3.1835 -0.1126  0.120
H 1.0413 -1.3530 -1.7885  0.188
H 2.2631 0.7847 -1.2014  0.236
H 2.4292 2.4525 0.4494  0.112
H 0.7642 3.0622 0.4965  0.126
H 1.5168 1.9078 1.8047  0.129
H -0.6398 0.4145 1.7231  0.235
H -1.4507 2.4393 -1.1972  0.188
H -2.9258 1.5152 -1.4179  0.106
H -3.5541 -0.0812 0.1829  0.158
H -3.0278 -2.3917 0.9168  0.208

=====

(3)
Molecular formula: C7H13N6O
Method: DFT, ωB97M-V/def2-TZVPD

Computed properties:
Total charge ... +1
E_HOMO ... -0.4385 hartree
Molar mass ... 197.22 g/mol
Energy above the lowest of the compared OMol25 structures with the same formula, charge and spin ... 19.05 kJ/mol
E ... -18450.832 eV

Each line ends with the Löwdin charge.
Element x y z (Å)
C -1.8792 1.8103 0.6399  0.091
C -1.0623 -0.7857 -0.0501  0.027
C -2.3953 -0.5104 -0.1061  -0.037
C -2.8020 0.8106 0.2464  -0.184
C -3.6744 -1.2041 -0.4158  -0.337
C -0.4703 1.4004 0.6990  0.024
C 3.5884 0.1475 0.4173  -0.495
N -4.6571 -0.3959 -0.1161  0.114
N -0.1797 0.1380 0.3397  0.073
N -4.1495 0.8310 0.2765  0.066
N -3.7757 -2.4176 -0.9520  0.166
N 4.5268 -0.8729 0.1465  0.081
N 4.1860 1.4807 0.1652  0.077
O 2.3824 -0.0330 -0.3988  -0.097
H -2.1022 2.8548 0.9254  0.129
H -0.7437 -1.6418 -0.5282  0.126
H 0.4044 1.8572 1.0685  0.127
H 3.3023 0.1984 1.3634  0.092
H 0.8130 -0.0353 0.3696  0.098
H -4.8251 1.3157 0.8483  0.171
H -2.9752 -3.0116 -1.0071  0.105
H -4.5790 -2.6789 -1.4845  0.117
H 4.0411 -1.7678 0.0328  0.099
H 5.0284 -0.6229 -0.6846  0.078
H 5.1891 1.3636 0.3101  0.085
H 4.1193 1.8720 -0.7228  0.042
H 2.6893 -0.1024 -1.3825  0.162

=====

(4)
Molecular formula: C7H13N6O2
Method: DFT, ωB97M-V/def2-TZVPD

Computed properties:
Total charge ... +1
E_HOMO (alpha / beta) ... -0.4003 / -0.4004 hartree
Molar mass ... 213.22 g/mol
Energy above the lowest of the compared OMol25 structures with the same formula, charge and spin ... 368.87 kJ/mol
E ... -20494.340 eV

• Response:
(1)
Molecular formula: C7H13N5
Method: DFT, ωB97M-V/def2-TZVPD

Computed properties:
Total charge ... 0
E_HOMO ... -0.3140 hartree
Molar mass ... 167.22 g/mol
Energy above the lowest of the compared OMol25 structures with the same formula, charge and spin ... 169.80 kJ/mol
Structure (SMILES) ... C1=C[C@@H]2N[C@@H]2C1.[H]/N=C(N)/C=N/N
E ... -14916.149 eV

Each line ends with the Löwdin charge.
Element x y z (Å)
C 2.0090 -1.0685 0.6338  -0.091
C 1.7407 0.2421 0.9381  -0.039
C 2.9602 1.0847 0.7420  -0.256
N 3.4193 1.3604 -0.6521  0.070
C 3.9330 0.2024 0.0883  -0.307